SINGAPORE - The solemnity of the Most Holy Trinity is woven into the fabric of Lasallian spirituality as an occasion where the Brothers all over the world renew their religious consecration to the Trinity. This tradition affirms the continuous flow of the Trinitarian love to our mission and consecration as Brothers of the Christian Schools. An additional testament to this love is the promise of forever made by Br. Mark Salvan FSC as he professed his perpetual vows on the occasion of the solemnity, 29 May 2021 at 6 PM. The intimate celebration was held at the Sanctuary of Divine Love Chapel, St. Joseph’s Institution International, Singapore. It was presided by Friar Clifford Augustine OFM and attended by the De La Salle Brothers assigned in Singapore, Br. Mark’s friends, and some family members.
• Inserted here: data records:
┌──
Entry 1:
GGA-PBE Mo3Se2, optimized geometry; offset from the most stable computed form = 322 meV/atom; space group = No. 164; crystal system = trigonal; formation energy without anion corrections = 2.28 eV/f.u.; calculated volume = 17.10 A^3/atom
1.0
4.158 0.000 0.000
-2.079 3.601 0.000
0.000 0.000 5.712
Mo Se
3 2
Cartesian
0.000 0.000 0.000
0.000 2.401 1.988
2.079 1.200 3.724
0.000 2.401 4.499
2.079 1.200 1.213

---

Entry 2:
GGA-PBE Rb3AgTe4, optimized geometry; space group = No. 71; crystal system = orthorhombic; formation energy without anion corrections = -5.25 eV/f.u.; calculated volume = 44.07 A^3/atom
1.0
-2.897 3.176 9.579
2.897 -3.176 9.579
2.897 3.176 -9.579
Rb Ag Te
3 1 4
Cartesian
0.000 0.000 0.000
2.897 0.000 5.772
0.000 3.176 3.807
0.000 0.000 9.579
2.897 1.520 -2.262
2.897 1.520 2.262
0.000 1.657 7.317
0.000 1.657 11.841

~~~~~

# 1
Cs2SiO3: single point on PBEsol structure, meta-GGA SCAN.

Structure (POSCAR):
```
Cs2SiO3
1.0
-5.6008 -3.1316 -2.2555
5.2908 -0.2345 -12.8126
7.9469 -13.6842 3.5320
Si Cs O
12 24 36
Direct
0.1672 0.3487 0.8934
0.9701 0.8637 0.1348
0.8277 0.7438 0.2805
0.6723 0.2438 0.2195
0.3277 0.7562 0.7805
0.4701 0.6363 0.6348
0.8328 0.6513 0.1066
0.5299 0.3637 0.3652
0.3328 0.8487 0.6066
0.1723 0.2562 0.7195
0.6672 0.1513 0.3934
0.0299 0.1363 0.8652
0.0639 0.5140 0.7173
0.9361 0.4860 0.2827
0.0690 0.1048 0.0850
0.1747 0.1889 0.3062
0.0322 0.3385 0.4892
0.5322 0.1615 0.9892
0.3253 0.6889 0.1938
0.2497 0.0858 0.5314
0.5639 0.9860 0.2173
0.4678 0.8385 0.0108
0.2494 0.3748 0.1353
0.2506 0.8748 0.3647
0.9310 0.8952 0.9150
0.9678 0.6615 0.5108
0.5690 0.3952 0.5850
0.8253 0.8111 0.6938
0.7494 0.1252 0.6353
0.7503 0.9142 0.4686
0.2503 0.5858 0.9686
0.6747 0.3111 0.8062
0.4361 0.0140 0.7827
0.4310 0.6048 0.4150
0.7497 0.4142 0.0314
0.7506 0.6252 0.8647
0.6828 0.4389 0.4125
0.4849 0.1982 0.1642
0.7435 0.1687 0.2982
0.2435 0.3313 0.7982
0.9849 0.3018 0.6642
0.1399 0.8654 0.5426
0.3601 0.3654 0.9574
0.8004 0.1046 0.8592
0.4054 0.6574 0.7314
0.5946 0.3426 0.2686
0.1996 0.8954 0.1408
0.9054 0.8426 0.2314
0.8601 0.1346 0.4574
0.9458 0.7560 0.0859
0.5151 0.8018 0.8358
0.7565 0.6687 0.2018
0.0542 0.2440 0.9141
0.1365 0.7287 0.8286
0.6996 0.6046 0.6408
0.0151 0.6982 0.3358
0.6365 0.7713 0.3286
0.2565 0.8313 0.7018
0.4458 0.7440 0.5859
0.3635 0.2287 0.6714
0.3172 0.5611 0.5875
0.8635 0.2713 0.1714
0.8172 0.9389 0.0875
0.0946 0.1574 0.7686
0.4967 0.9338 0.6102
0.5542 0.2560 0.4141
0.9967 0.5662 0.1102
0.1828 0.0611 0.9125
0.5033 0.0662 0.3898
0.3004 0.3954 0.3592
0.6399 0.6346 0.0426
0.0033 0.4338 0.8898
```

The symmetry is P2_1/c (14). As for the total magnetic moment: 0.00 Bohr magnetons per cell. Its crystal system is monoclinic. The formation energy from raw total energies comes out at -2513 meV per atom. The value obtained for the theoretical density is 4.47 Mg/m³. The calculation puts the density of states at the Fermi level at 0.00 states/eV per atom.

# 2
Cs2Si3SnO9: single point on PBEsol structure, meta-GGA SCAN.
└──
Br. Dodo Fernandez FSC, his religious sponsor, delivered the shared reflection for this solemn occasion in a recorded video clip. He shared in an anecdote Br. Mark’s desire to grow and be more effective in his ministry. It was a story of how his formative years helped him appropriate his values to the vitality and values of religious life. From an energetic young man whose initial attraction to the Brothers’ life is the energy and enthusiasm he saw from Br. Rey Mejias FSC, the formation process has helped him develop a deeper relationship with God. This relationship gave him the courage and strength to bear witness to a faithful and steadfast God through a life-long commitment to responding to God’s call and be of service to the young through education.
Br. Mark, in his response, shared how things that are important to him seemed not to fall into place. One of them is celebrating this milestone in his life away from his loved ones. But despite the situation, this special day has become a celebration of a heart abounding in thanksgiving and self-giving. With the eyes of faith, he was able to see things through. In faith, things that seemed to fall apart are actually things falling into place.
At the height of the pandemic, the perpetual profession of Br. Mark is a sign of hope. He mentioned in his message that everything happens for a reason. Thus, this profession serves as a light manifesting how God works no matter how challenging our circumstances are. The organizers had to cut the number of people physically present at the event and restrict the movement of guests to comply with the safety measures imposed by the government. The celebration still stood out as a testament to God’s faithfulness as the sector of Singapore once again witnessed a Brother’s perpetual profession after nearly a decade.
Br. Mark teaches Religious Education and is a member of the Faith Formation Team at St. Joseph's Institution International. Let us continue to pray for him as he begins his ‘forever’ serving the people of God as a Brother of the Christian Schools. (Text: Br. Kino Escolano FSC; Photos: SJII)